
Rescued Soul Book Cover-min

 The Rescued Soul: A Writing Journey for the Healing of Incest and Family Betrayal

by Christina Enevoldsen

Though this is written specifically for survivors of incest, survivors of any type of abuse will find this helpful. It’s a book, workbook and journal in one.

“Every aspect of my abuse was a disconnection from my identity and individuality. It was a denial and dismissal of my value and physical, emotional, spiritual, and mental boundaries.

“The abuse separated me from my personhood. I was an object to be used for someone else’s enjoyment. My wants and needs weren’t considered. My welfare was dismissed. I didn’t have permission to say no or to run away.

“My defense was to separate from my mind, emotions and body. The lies that I told myself further separated me from myself and from reality. The secret kept me isolated. I needed to keep my distance to keep the secret. Guarding my actions, guarding my words. My family and the rest of the world went on as usual while I was shattered.

“I remained an outsider in my own life. I dissociated when I felt threatened or overwhelmed. Without a healthy foundation, that was most of the time. I turned to addictions to avoid feeling and knowing. Being me—whoever that was—was too painful.”


The Courage to Heal: A Guide for Women Survivors of Child Sexual Abuse

by Ellen Bass and Laura Davis

This is an inspiring, comprehensive guide that offers hope to sexually abused women.  The authors provide a map of the healing process, thoroughly explain the effects of abuse and suggest techniques for working through healing in a realistic but encouraging way.  The last section of the book includes abuse stories from survivors.

“The environment in which you live—the people you see—affects your ability to make changes. People who are working to grow and change in their own lives will support you with encouragement and by example. People who are living out the pattern you’re trying to break will continually such you back in. Respect the power of influence.”

Beyond BetrayalBeyond Betrayal: Taking Charge of Your Life After Boyhood Sexual Abuse

by Richard B. Gartner, Ph.D.

Beyond Betrayal is written specifically for male sexual abuse survivors who were abused by male or female perpetrators.  This book explores the different types of abuse, revealing its profound impact on one’s self-concept of a man and the difficulties of developing intimate relationships.

“The world gives medals to men for subduing prey, not for being subdued.  We’re told that the best men win. As a general once said, in war there’s no second prize.  It’s clear: a real man can’t be a victim.

 “So if you were sexually abused, where does this leave you? As a boy, maybe you felt pulled apart.  Your three images of man were caught up in an impossible conflict: Maybe you disliked the boy you were. Maybe you felt you couldn’t become the boy you wanted to be. And you very likely felt you couldn’t develop into the man the world expected you to become. These conflicts may have left you feeling cut off and lost. You were disconnected from the man you were becoming. You were detached from your self—the self who felt hope about growing up, the self with strength, will, determination, and a sense of discovery.”


Emerging From Broken Book CoverEmerging From Broken: The Beginning of Hope for Emotional Healing

by Darlene Ouimet

This is an inspiring, encouraging book for men and women suffering from the effects of any type of abuse. The author suffered from chronic depression, Dissociative Identity Disorder and PTSD, but overcome them all. Through her own journey of healing, Darlene provides insights and hope for others to emerge from their own brokenness.

I wasn’t born broken. It was through my examination of where the broken began that I was able to move from questioning “what is wrong with me” to questioning “what happened to me?” The change in my life was dramatic. Depression fell away, my mood swings leveled out and I completely stopped dissociating. I started to feel excited at the prospect of each new day! My joy in discovering my true self was profound. After a lifetime of struggle, I found freedom and wholeness. I vowed that I would find a way to share it with a hurting world.”


Beginning to HealBeginning to Heal: A First Book for Men and Women Who Were Sexually Abused As Children

by Ellen Bass & Laura Davis

Beginning to Heal offers hope and guidance to men and women survivors of sexual abuse.  This is based on The Courage to Heal by the same authors.  This book takes you through the key stages of healing, from crisis times to breaking the silence, grief, and anger, to resolution and moving on.

== The article is interrupted by materials data ==
- - -
Theoretical XRD peak list of Li5FeOF5 for Cu Kα (weighted mean of Kα1 and Kα2), from a cell relaxed with GGA+U.

Main lines, most intense first (2θ = 15–90°):
- 43.21 deg, I = 100
- 42.65 deg, I = 53
- 20.85 deg, I = 53
- 23.24 deg, I = 43
- 18.30 deg, I = 37
- 19.97 deg, I = 32
- 27.21 deg, I = 28
- 62.37 deg, I = 27
- 62.29 deg, I = 27
- 31.89 deg, I = 21

Cell: 5.173 8.894 9.827 Å, 90.00 99.39 90.00°
Space group Cc (No. 9)
Symmetry-distinct sites (fractional):
Li (0.000, 0.064, 0.000) x4
Li (0.240, 0.074, 0.771) x4
Li (0.261, 0.413, 0.768) x4
Li (0.465, 0.083, 0.505) x4
Li (0.499, 0.255, 0.006) x4
Fe (0.234, 0.241, 0.266) x4
O (0.117, 0.089, 0.382) x4
F (0.119, 0.427, 0.386) x4
F (0.126, 0.243, 0.886) x4
F (0.358, 0.251, 0.631) x4
F (0.358, 0.407, 0.138) x4
F (0.374, 0.079, 0.131) x4

~~~~~

# 1
# Dy12Co5Bi
Theoretical PXRD pattern, Cu Kα, 1.54184 Å. Input: a DFT-relaxed cell (GGA-PBE, the Materials Project).
Lines closer than 0.1° are merged.

Atomic structure:
Lattice parameters (Å, degrees): 8.269 8.269 8.269 110.85 110.56 107.03
Sites, in units of the cell vectors:
Dy 0.014 0.211 0.804
Dy 0.182 0.285 0.467
Dy 0.182 0.715 0.897
Dy 0.312 0.004 0.692
Dy 0.312 0.620 0.308
Dy 0.407 0.211 0.196
Dy 0.593 0.789 0.804
Dy 0.688 0.380 0.692
Dy 0.688 0.996 0.308
Dy 0.818 0.285 0.103
Dy 0.818 0.715 0.533
Dy 0.986 0.789 0.196
Co 0.000 0.000 0.000
Co 0.112 0.612 0.500
Co 0.375 0.000 0.375
Co 0.625 0.000 0.625
Co 0.888 0.388 0.500
Bi 0.500 0.500 0.000

Top 10 peaks for 15° ≤ 2θ ≤ 90°, most intense first:
2θ 32.51, I 100.0; 2θ 34.71, I 50.8; 2θ 35.24, I 49.7; 2θ 35.62, I 41.2; 2θ 30.10, I 28.7; 2θ 29.87, I 26.6; 2θ 60.47, I 26.4; 2θ 58.82, I 23.1; 2θ 28.85, I 23.0; 2θ 55.10, I 20.9



# 2
# Er5CoBi2
Theoretical PXRD pattern, Cu Kα, 1.54184 Å. Input: a DFT-relaxed cell (GGA-PBE, the Materials Project).
Lines closer than 0.1° are merged.

Atomic structure:
Lattice parameters (Å, degrees): 12.405 8.890 7.855 90.00 90.00 90.00
Sites, in units of the cell vectors:
Er 0.004 0.250 0.060
Er 0.068 0.537 0.331
Er 0.068 0.963 0.331
Er 0.181 0.250 0.630
Er 0.202 0.750 0.655
Er 0.298 0.250 0.155
Er 0.319 0.750 0.130
Er 0.432 0.037 0.831
Er 0.432 0.463 0.831
Er 0.496 0.750 0.560
Er 0.504 0.250 0.440
Er 0.568 0.537 0.169
Er 0.568 0.963 0.169
Er 0.681 0.250 0.870
Er 0.702 0.750 0.845
Er 0.798 0.250 0.345
Er 0.819 0.750 0.370
Er 0.932 0.037 0.669
Er 0.932 0.463 0.669
Er 0.996 0.750 0.940
Co 0.006 0.250 0.434
Co 0.494 0.750 0.934
Co 0.506 0.250 0.066
Co 0.994 0.750 0.566
Bi 0.173 0.003 0.938
Bi 0.173 0.497 0.938
Bi 0.327 0.503 0.438
Bi 0.327 0.997 0.438
Bi 0.673 0.003 0.562
Bi 0.673 0.497 0.562
Bi 0.827 0.503 0.062
Bi 0.827 0.997 0.062

Top 10 peaks for 15° ≤ 2θ ≤ 90°, most intense first:
2θ 31.67, I 100.0; 2θ 31.23, I 92.8; 2θ 31.00, I 51.7; 2θ 33.71, I 42.0; 2θ 40.60, I 40.2; 2θ 35.03, I 21.9; 2θ 51.94, I 17.3; 2θ 27.17, I 16.4; 2θ 43.32, I 16.3; 2θ 35.29, I 15.6



# 3
# Tb12FeCoBi4
- - -
== Back to the article ==

“As a survivor of child sexual abuse you have a lot to grieve for. You grieve for the ways you were hurt. You grieve for not being protected, for the things you missed out on as a child. You grieve for the time and effort it takes to heal, for the relationships and happiness you have lost.

“You may have to grieve for you lost faith or give up the idea that the abuser had your best interests at heart. You may have to grieve for the fact that you don’t have suitable grandparents for your children, or a family you can depend on. You must also grieve for the shattered image of a world that is fair and safe for children. You will grieve for your lost innocence and ability to trust.”

Repressed Memories: A Journey of Recovery from Sexual Abuse

by Renee Fredrickson, Ph.D.

This book explains the causes of repressed memories, how to regain your memories, and how to use your memories to heal.

“The abuse is not only hidden from public view but from the view of the family members themselves. The family members believe the façade of normalcy because it is what they have grown up with. Anything that does not fit is buried or rationalized away. Anyone who tells the secrets or points out the sickness is punished or even exiled. The façade is maintained at the expense of individual family members.”



Secret Survivors: Uncovering Incest and Its Aftereffects in Women

by E. Sue Blume

Secret Survivors shows how sexual abuse is often at the root of such problems as depression, sexual and eating disorders, drug and alcohol abuse, and phobias and panic disorders.  The author explains the natural, healthy needs that underlie the aftereffects and how to meet them in healthy ways.

“…In addition to social and gender-based circumstances, incest survivors often are prepared to be victims—or to fail to see the victimization. The incest survivor often knows things feel bad but does not know how bad they are or how much better they can be. And her choices are confined by her narrow field of expectations and her broad field of tolerance.”


Beyond SurvivalBeyond Survival: A Writing Journey for Healing Childhood Sexual Abuse

by Maureen Brady

Beyond Survival is a fifty-two-week journal of self-exploration, liberation and empowerment for male and female survivors of sexual abuse.  It offers tools and techniques—from reading and writing to visualization and taking concrete action—that aids the healing process.

“For change to occur in us, we must be willing to enter the wilderness of the unknown and to wander in unfamiliar territory, directionless and often in the darkness. We must be willing to release our victim’s role. That was who we were. That is not who we are now.

“We dread the feeling of “lostness” that goes along with being in the wilderness of our unknown self. Many of us were children forced into adult roles. We had to know how to take care of things. We tried to parent our parents so that they could grow up and help us. We don’t like to be the newcomer, the student, or the patient; we are more comfortable being the old-timer, the teacher, or the doctor.

“But it is time to take our turn at being unformed, unsure, not confident. We deserve to be able to let ourselves fall into fragments and feel fragmented awhile. We do not need to keep every little thing under control. In fact, we find ourselves only by allowing some falling apart to happen.”


Silently SeducedSilently Seduced: When Parents Make Their Children Partners

by Kenneth M. Adams, PH.D.

Through illustrative examples, Silently Seduced provides perceptive insight that helps male and female incest survivors understand what happened to them, how their lives and relationships continue to be affected and how to begin the process of recovery.

“Covert incest occurs when a child becomes the object of a parent’s affection, love, passion and preoccupation. The parent, motivated by loneliness and emptiness created by a chronically troubled marriage or relationship, makes the child a surrogate partner. The boundary between caring and incestuous love is crossed when the relationship with the child exists to meet the needs of the parent rather than those of the child.”



Ghosts in the BedroomGhosts in the Bedroom: A Guide for Partners of Incest Survivors

by Ken Graber, M.A.

This book provides comfort and guidance for partners in the process of recovery.  The author draws from personal experience to show how partners can accept responsibility for their own issues, support the recovery of the sexual abuse survivor and work toward resolving relationship problems together.

“Remember that we are unconsciously attracted to others who remind us of our family of origin. If we recognize any dysfunction in the survivor, it is highly likely that we are also the products of a dysfunctional family and have problems of our own. Similarly, recognizing that survivors come from dysfunctional backgrounds probably means that they were attracted by some of the same dysfunctions in us. Recovery works best, not when the survivor is identified as the problem that needs fixing, but when both partner and survivor are committed to personal growth and working on their own issues. Common issues and relationship issues can be worked on together. If as partners we refuse to face our own problems and fail to work toward correcting our behavior and eliminating dysfunction in the relationship, then the survivor in recovery will be the one who outgrows us and leaves.”

The Verbally Abusive RelationshipThe Verbally Abusive Relationship: How to Recognize It and How to Respond

by Patricia Evans

This book provides descriptions and examples of verbally abusive relationships, encouragement for the abused and guidelines for dealing with abusers.

“The verbal abuser especially undermines the partner’s self-perception. If the partner is told with gradually increasing frequency that she is illogical, too sensitive, always trying to start an argument, competitive, always has to be right, etc., she may become conditioned to accept more and more abuse while experiencing more and more self-doubt. This conditioning is like brainwashing. It may extend beyond herself to her family, her interests, and her most cherished ideals.”


Toxic Faith: Experiencing Healing from Painful Spiritual Abuse

by Stephen Arterburn and Jack Felton

Toxic Faith uncovers the beliefs, characteristics and rules of an abusive religious system and shows how to break free of an unhealthy dependency on religion.

“When authority is well placed, it respects the individuals over whom it has authority. When it is not well placed, it is our responsibility to expose the abuse and be part of the solution. Christ challenged the religious authorities who turned away from God and toward rules developed by men. Christ stood up to those people and told them they were wrong. He tried to produce change by what he said and by how he lived. If we are to follow his example, we must intervene when abuse is part of submission. We must have the courage to follow Christ’s example and overturn the system, be it a marriage or an organization, if that system is wrong. Silent submission in the face of violence, dishonesty, and abuse will only allow that abuse to be passed on to new generations.”


BoundariesBoundaries: When to Say Yes, When to Say No, To Take Control of Your Life

by Dr. Henry Cloud & Dr. John Townsend

Boundaries explains the purpose and benefits of boundaries and how to implement them. This book is a guide to improving your relationships, finding a path to freedom and regaining control of your life.

“Our real concern with others should not be “Are they doing what I would do or what I want them to do?” but “Are they really making a free choice?” When we accept others’ freedom, we don’t get angry, feel guilty, or withdraw our love when they set boundaries with us. When we accept others’ freedom, we feel better about our own.”



Safe PeopleSafe People: How to Find Relationships That Are Good for You and Avoid Those That Aren’t 

by Dr. Henry Cloud & Dr. John Townsend

Safe People shows how to make wise decisions in relationships from friendships to romance.  It teaches how to recognize what makes people trustworthy and includes twenty traits of unsafe people.

“Some people feel that they are entitled to trust. We often hear of someone saying, ‘So you don’t trust me.’ Or ‘Are you questioning my integrity?’ Or ‘You don’t believe me.’ They get defensive and angry because someone questions their actions, and they think they are above being questions or having to prove their trustworthiness. But none of us is above questioning, and to take offense at it is very prideful.”




Evicting the Perpetrator: A Male Survivor Guide to Recovery From Childhood Sexual Abuse

by Ken Singer, MSW

Ken Singer LCSW’s release ‘Evicting the Perpetrator’ comes as a result of 30+ years experience working with sexual abuse victim/survivors as well as juvenile and adult abusers. The most recent book on the topic of male sexual assault and abuse, Mr. Singer’s approach is the only one that includes a discussion of how sexual trauma and abuse impacts the brain and the manner in which it restructures itself in response to the experiences. His ideas are expressed and articulated with the same spirit and intention that has guided his work as a clinical therapist: ‘in the hope of preventing more victims’, and to help others already touched by the hand of sexual abuse and assault, to overcome its legacy.

“This book is different from the many books published for adult survivors of sexual abuse. The symptoms and consequences of abuse have been written about many times, providing the good advice that “it wasn’t your (the survivor’s) fault. However, many survivors, especially men, may believe that it was their fault for ‘allowing’ the abuse to take place, not fighting back or not reporting the abuse. This feeling persists because, despite efforts by the survivors and others to reduce the sense of blame in the victims, the role of the abuser has not been examined for what it was. The goal of this book is to help survivors and those supporting them to understand how abusers are able to do what they do”

Healing the Shame That Binds You

by John Bradshaw

In an emotionally revealing way Bradshaw shows is how toxic shame is the core problem in our compulsions, co-dependencies, addictions and the drive to super-achieve. We are bound by our shame. But drawing from 22 years experience as a counselor, he offers the techniques to heal the shame. Using affirmations, “inner voice” and feeling work, plus guided meditations and other useful healing techniques, he points the way to freedom from the shame of the past, offering vital recovery techniques.

“Because of its preverbal origins, shame is difficult to define. It is a healthy human power which can become a true sickness of the soul. There are two forms of shame: nourishing shame, and toxic/life destroying shame. Because toxic shame stays in hiding and covers itself up, we have to track it down by learning to recognize its many faces and its many distracting behavioral coverups”

Victims No Longer Book CoverVictims No Longer: The Classic Guide for Men Recovering from Sexual Child Abuse

by Mike Lew

The first book written specifically for men, Victims No Longer examines the changing cultural attitudes toward male survivors of incest and other sexual trauma. Now, in an expanded Second Edition, this invaluable resource continues to offer compassionate and practical advice, supported by personal anecdotes and statements of male survivors. Victims No Longer educates survivors and professionals about the recovery process – speaking to the pain, needs, fears, and hopes of the adult male survivor.

“The reality is that abuse exists. It is real and it is common. It takes many forms, some blatant and others more subtle. The spectrum of child abuse ranges from neglect to physical violence. It includes torture, beatings, verbal and psychological maltreatment, child pornography, and sexual abuse (ranging from seductive behavior to rape) Abuse appears in varying combinations, durations, and intensities. What all forms have in common is their devastating, long-term effects of the child.”

Abused Boys: The Neglected Victims of Sexual Abuse

by Mic Hunter

This book has been referred to as a landmark in the field of child sexual abuse literature. Like ‘The Courage to Heal’ it is an essential book that helps anyone struggling with childhood trauma to find the hope and strength to recover and lead fulfilled adult lives.

“The effects of childhood sexual abuse are frequently lifelong and severe. They are so profound not only because sexuality is so personal but also because there is more than a sexual aspect to the abuse. Sexual abuse is also physical, mental, emotional, and spiritual abuse. It affects all areas of life. In addition, sexual abuse is not accidental…. it is not something that happens to you, it is something that is done TO you, by someone, on purpose. Although the offender may not have intended to hurt you, he or she did intend to be sexual with you and thereby did you harm”.

Thou Shalt Not Be Aware: Society’s Betrayal Of The Child

By Alice Miller

Originally published in 1984, “Thou Shalt Not Be Aware” explodes Freud’s notions of “infantile sexuality” and helps to bring to the world’s attention the brutal reality of child abuse, changing forever our thoughts of “traditional” methods of child-rearing. Dr. Miller exposes the harsh truths behind children’s “fantasies” by examining case histories, works of literature, dreams, and the lives of such people as Franz Kafka, Virginia Woolf, Gustave Flaubert, and Samuel Beckett. Now with a new preface by Lloyd de Mause and a new introduction by the author, “Thou Shalt Not Be Aware” continues to bring an essential understanding to the confrontation and treatment of the devastating effects of child abuse.

“The general public tends to doubt the prevalence of sexual abuse of children by older siblings and adults and to deny its lasting effects, because the necessary repression of what one knew as a young child blocks any later insight into the subject. Furthermore, it is not in the best interest of adults, once they are in a position to take over the active role themselves, to uncover the motives behind their actions. But most important, the principles of “poisonous pedagogy” insist that parents’ actions toward their children be regarded exclusively as loving and beneficial and that children be denied the right to protest”.